### Listing
'''
# MgNiP2O7
Computed powder X-ray diffraction pattern, Cu Kα. Input: the GGA+U geometry in Alexandria.

Top 12 peaks for 10 to 90 degrees two-theta, by angle:
hkl 0 1 1, 2θ 15.0, I = 15
hkl 1 1 -1, 2θ 17.2, I = 20
hkl 1 2 -1, 2θ 25.3, I = 11
hkl 1 2 -2, 2θ 29.4, I = 100
hkl 1 0 2, 2θ 29.9, I = 54
hkl 1 1 -3, 2θ 31.3, I = 9
hkl 1 3 0, 2θ 35.0, I = 10
hkl 2 2 0, 2θ 35.2, I = 13
hkl 1 1 3, 2θ 41.7, I = 10
hkl 2 3 -2, 2θ 42.6, I = 20
hkl 3 3 -4, 2θ 58.0, I = 15
hkl 2 3 -6, 2θ 70.5, I = 10

Structural model:
abc: 7.0135 8.3845 9.1188
angles: 90.00 113.75 90.00
Fractional coordinates of all 44 atoms:
Mg (0.1944, 0.0566, 0.3204)
Mg (0.1944, 0.4434, 0.8204)
Mg (0.8056, 0.5566, 0.1796)
Mg (0.8056, 0.9434, 0.6796)
Ni (0.2711, 0.0768, 0.8908)
Ni (0.2711, 0.4232, 0.3908)
Ni (0.7289, 0.5768, 0.6092)
Ni (0.7289, 0.9232, 0.1092)
P (0.0271, 0.7264, 0.9655)
P (0.0271, 0.7736, 0.4655)
P (0.4384, 0.7292, 0.2566)
P (0.4384, 0.7708, 0.7566)
P (0.5616, 0.2292, 0.2434)
P (0.5616, 0.2708, 0.7434)
P (0.9729, 0.2264, 0.5345)
P (0.9729, 0.2736, 0.0345)
O (0.0222, 0.0915, 0.6584)
O (0.0222, 0.4085, 0.1584)
O (0.0499, 0.6106, 0.3976)
O (0.0499, 0.8894, 0.8976)
O (0.1271, 0.2327, 0.4528)
O (0.1271, 0.2673, 0.9528)
O (0.2465, 0.6682, 0.0971)
O (0.2465, 0.8318, 0.5971)
O (0.3814, 0.2361, 0.2988)
O (0.3814, 0.2639, 0.7988)
O (0.3839, 0.6141, 0.8106)
O (0.3839, 0.8859, 0.3106)
O (0.4751, 0.5929, 0.3789)
O (0.4751, 0.9071, 0.8789)
O (0.5249, 0.0929, 0.1211)
O (0.5249, 0.4071, 0.6211)
O (0.6161, 0.1141, 0.6894)
O (0.6161, 0.3859, 0.1894)
O (0.6186, 0.7361, 0.2012)
O (0.6186, 0.7639, 0.7012)
O (0.7535, 0.1682, 0.4029)
O (0.7535, 0.3318, 0.9029)
O (0.8729, 0.7327, 0.0472)
O (0.8729, 0.7673, 0.5472)
O (0.9501, 0.1106, 0.1024)
O (0.9501, 0.3894, 0.6024)
O (0.9778, 0.5915, 0.8416)
'''

### Exercise
What is needed: restate the lines further up from the one with "(0.3839, 0.8859," to the one with "(0.8729, 0.7673," word for word.

### Reply
O (0.3839, 0.8859, 0.3106)
O (0.4751, 0.5929, 0.3789)
O (0.4751, 0.9071, 0.8789)
O (0.5249, 0.0929, 0.1211)
O (0.5249, 0.4071, 0.6211)
O (0.6161, 0.1141, 0.6894)
O (0.6161, 0.3859, 0.1894)
O (0.6186, 0.7361, 0.2012)
O (0.6186, 0.7639, 0.7012)
O (0.7535, 0.1682, 0.4029)
O (0.7535, 0.3318, 0.9029)
O (0.8729, 0.7327, 0.0472)
O (0.8729, 0.7673, 0.5472)